(Exercise)
Find the line further down that holds "-1.92782 -0.45", then type out that line and all lines after it there.
(Source)
/*
# 1
13
Properties=species:S:1:pos:R:3:forces:R:3 method="wB97M-V/def2-TZVPD" max_force_ev_per_a=2.78 e_above_lowest_kcal_mol=25.20 homo_ha=-0.298 smiles="[H]/N=C(/NC=S)SC" homo_lumo_gap_ev=8.4 total_energy_ha=-1023.76278
H 0.16662 1.86747 -0.07911 0.89 0.51 -0.24
N -0.57246 1.21248 0.01526 0.08 -2.59 0.73
C -0.19516 -0.02535 0.04341 -2.13 1.70 -0.56
N -1.18236 -1.02799 0.18414 0.16 -0.37 -0.39
C -2.55700 -0.95642 -0.00687 1.27 1.40 0.23
S -3.48141 0.36363 -0.21523 0.00 -0.77 0.03
S 1.35722 -0.76965 -0.29435 -0.25 -0.13 -0.06
C 2.40091 0.63680 -0.00802 -0.71 1.28 0.44
H -0.83213 -1.98944 0.14061 -0.07 0.66 0.20
H -2.88364 -1.96752 0.04098 -0.96 -0.71 -0.09
H 2.03724 1.59292 -0.54029 0.85 -1.68 0.56
H 2.39987 0.81202 1.09296 0.37 0.08 -0.88
H 3.34229 0.25104 -0.37349 0.50 0.61 0.04

=====

# 2
31
Properties=species:S:1:pos:R:3:forces:R:3 method="wB97M-V/def2-TZVPD" charge=-1 max_force_ev_per_a=1.55 e_above_lowest_kcal_mol=29.37 homo_ha=-0.228 homo_lumo_gap_ev=9.4 total_energy_ha=-790.74181
F 0.80092 -0.60020 0.38073 -0.43 0.23 -0.43
C -0.49595 1.33901 2.77692 0.30 -1.02 -0.20
C -0.45488 2.36443 1.67785 -0.11 0.78 -0.55
O 0.62980 2.19733 0.77986 -0.63 0.07 0.20
O 0.64602 1.50159 3.61837 -0.02 0.39 0.20
H -0.43840 0.34881 2.30265 0.07 0.08 0.02
H -1.43034 1.34823 3.34986 -0.03 0.42 -0.01
H -0.39070 3.37609 2.09471 0.19 -0.10 0.10
H -1.38662 2.35786 1.09050 -0.14 -0.23 0.31
H 0.41269 1.37654 0.30091 0.78 -0.38 0.18
H 0.44774 1.17835 4.49912 -0.08 -0.13 -0.08
C -3.97465 -1.27372 0.52705 -0.13 0.14 0.74
C -2.61739 -0.63397 0.42274 0.85 0.36 -1.24
O -1.60640 -1.60901 0.42671 -0.56 -0.41 0.66
O -4.49568 -1.76729 -0.69598 0.00 -0.30 0.03
H -4.70887 -0.55346 0.89396 0.02 0.12 -0.14
H -3.89765 -2.04827 1.30481 -0.11 -0.13 -0.24
H -2.47831 0.15114 1.17810 -0.08 -0.25 0.26
H -2.54522 -0.12600 -0.55596 -0.38 0.25 0.17
H -0.70732 -1.19469 0.49923 0.54 0.12 -0.35
H -3.98738 -2.54748 -0.93754 0.15 0.08 -0.04
C 3.17456 -0.43542 -1.92782 -0.45 0.48 -0.46
C 3.79487 -1.05931 -3.16035 -0.03 0.56 -0.08
O 3.90009 -0.11310 -4.23066 0.10 -0.05 -0.25
O 1.79162 -0.22688 -2.14914 0.30 -0.36 0.10
H 3.61529 0.56717 -1.79535 0.42 -0.20 0.25
H 3.36773 -1.03459 -1.03567 -0.08 -0.02 0.02
H 3.14495 -1.85764 -3.51968 0.13 -0.19 0.12
H 4.80537 -1.42327 -2.94973 -0.07 -0.18 0.10
H 3.71909 0.76624 -3.88773 -0.11 -0.07 0.10
H 1.36503 -0.36851 -1.27846 -0.41 -0.04 0.49

=====

# 3
12
Properties=species:S:1:pos:R:3:forces:R:3 method="wB97M-V/def2-TZVPD" max_force_ev_per_a=1.13 e_above_lowest_kcal_mol=95.81 homo_ha="-0.315 / -0.315" homo_lumo_gap_ev="7.8 / 7.8" total_energy_ha=-360.51674
O 1.98043 1.39796 1.21589 0.38 -0.61 -0.10
C 2.10245 0.44237 0.50360 0.14 0.46 0.32
C 0.95555 -0.43619 -0.01637 -0.04 -0.33 -0.33
O 1.20905 -1.48090 -0.57213 -0.23 0.63 0.39
N -0.35649 0.03560 0.19527 -0.04 0.76 -0.42
C -1.47613 -0.60315 -0.50247 -0.35 -0.18 -0.38
C -0.59151 1.33246 0.45592 0.48 0.03 1.02
H 3.08371 0.08165 0.14067 -0.12 -0.03 -0.05
H -2.19172 -1.08140 0.16902 0.28 -0.09 -0.02
H -1.09228 -1.27159 -1.26400 -0.06 -0.31 0.09
H -1.94969 0.24184 -1.00649 -0.37 -0.59 -0.18
H -1.67338 1.34136 0.68109 -0.09 0.26 -0.35


(1)
A cluster of 2 separate species, C21H39N3O6 in total at a distorted geometry. Source: the OMol25 dataset; level of theory: ωB97M-V with the def2-TZVPD basis set.

```
69
Properties=species:S:1:pos:R:3:forces:R:3
O 0.006240 -3.585778 -4.274344 -0.31 -0.18 -0.42
O -0.402840 -2.304406 -0.978806 -0.19 0.03 -0.20
O 1.676199 2.696346 3.124582 -0.04 0.00 -0.13
O 0.996473 -0.810931 -0.072828 0.14 -0.75 0.03
O 0.087027 -2.418047 1.231057 -0.22 -0.07 0.02
O 3.632046 -1.630318 0.101770 -0.18 -0.05 0.10
N 3.929852 -3.618400 -1.065084 0.20 0.53 0.59
N -0.422940 -1.471885 -3.277162 0.16 -0.97 0.01
N -4.390753 1.925233 0.048772 -0.03 0.00 -0.02
C -2.564637 0.943263 1.400941 0.10 0.01 0.17
C 1.670632 1.713821 4.162272 -0.05 0.41 0.00
C -4.057603 1.016359 1.132057 0.08 -0.12 -0.11
C -5.810607 2.210708 -0.050568 -0.14 0.10 0.05
C -3.839295 0.292313 -1.850721 0.02 0.06 -0.06
*/
(Completed)
C 3.17456 -0.43542 -1.92782 -0.45 0.48 -0.46
C 3.79487 -1.05931 -3.16035 -0.03 0.56 -0.08
O 3.90009 -0.11310 -4.23066 0.10 -0.05 -0.25
O 1.79162 -0.22688 -2.14914 0.30 -0.36 0.10
H 3.61529 0.56717 -1.79535 0.42 -0.20 0.25
H 3.36773 -1.03459 -1.03567 -0.08 -0.02 0.02
H 3.14495 -1.85764 -3.51968 0.13 -0.19 0.12
H 4.80537 -1.42327 -2.94973 -0.07 -0.18 0.10
H 3.71909 0.76624 -3.88773 -0.11 -0.07 0.10
H 1.36503 -0.36851 -1.27846 -0.41 -0.04 0.49

=====

# 3
12
Properties=species:S:1:pos:R:3:forces:R:3 method="wB97M-V/def2-TZVPD" max_force_ev_per_a=1.13 e_above_lowest_kcal_mol=95.81 homo_ha="-0.315 / -0.315" homo_lumo_gap_ev="7.8 / 7.8" total_energy_ha=-360.51674
O 1.98043 1.39796 1.21589 0.38 -0.61 -0.10
C 2.10245 0.44237 0.50360 0.14 0.46 0.32
C 0.95555 -0.43619 -0.01637 -0.04 -0.33 -0.33
O 1.20905 -1.48090 -0.57213 -0.23 0.63 0.39
N -0.35649 0.03560 0.19527 -0.04 0.76 -0.42
C -1.47613 -0.60315 -0.50247 -0.35 -0.18 -0.38
C -0.59151 1.33246 0.45592 0.48 0.03 1.02
H 3.08371 0.08165 0.14067 -0.12 -0.03 -0.05
H -2.19172 -1.08140 0.16902 0.28 -0.09 -0.02
H -1.09228 -1.27159 -1.26400 -0.06 -0.31 0.09
H -1.94969 0.24184 -1.00649 -0.37 -0.59 -0.18
H -1.67338 1.34136 0.68109 -0.09 0.26 -0.35


(1)
A cluster of 2 separate species, C21H39N3O6 in total at a distorted geometry. Source: the OMol25 dataset; level of theory: ωB97M-V with the def2-TZVPD basis set.

```
69
Properties=species:S:1:pos:R:3:forces:R:3
O 0.006240 -3.585778 -4.274344 -0.31 -0.18 -0.42
O -0.402840 -2.304406 -0.978806 -0.19 0.03 -0.20
O 1.676199 2.696346 3.124582 -0.04 0.00 -0.13
O 0.996473 -0.810931 -0.072828 0.14 -0.75 0.03
O 0.087027 -2.418047 1.231057 -0.22 -0.07 0.02
O 3.632046 -1.630318 0.101770 -0.18 -0.05 0.10
N 3.929852 -3.618400 -1.065084 0.20 0.53 0.59
N -0.422940 -1.471885 -3.277162 0.16 -0.97 0.01
N -4.390753 1.925233 0.048772 -0.03 0.00 -0.02
C -2.564637 0.943263 1.400941 0.10 0.01 0.17
C 1.670632 1.713821 4.162272 -0.05 0.41 0.00
C -4.057603 1.016359 1.132057 0.08 -0.12 -0.11
C -5.810607 2.210708 -0.050568 -0.14 0.10 0.05
C -3.839295 0.292313 -1.850721 0.02 0.06 -0.06